Ambition Essay Plan

Paragraph One

‘If chance will have me king, why, chance may crown me’ - Has ambitions to be king but isn’t going to change his destiny if it isn’t meant to be. No malicious intents towards the king. Positive ambition.

‘This is a step I must fall down, lr else o’erleap‘

‘Come you spirits’ ‘unsex me here’ - Malicious ambition and intent. Wishes to remove her femininity so that she can carry out her plans as she is unable to as a woman. One holding the ambition at this stage. Also calling on the ‘spirits’ - links to supernatural and so she’s willing to go against fate and the laws of nature to achieve what she wants.

‘no spur’ ‘vaulting ambition which o’erleaps itself’

Paragraph Two

‘I dreamt last night of the three weird sisters’ (Banquo)

‘Bosom franchised and allegiance clear’ (Banquo)

Has ambition but would never act upon it because it would be unlawful and wrong.

• Inserted here: data records:
........
Version i
Here is 2 unconnected molecules or ions with the total composition C2H9NO from the Open Molecules 2025 dataset. Energies are from ωB97M-V/def2-TZVPD.

Summary:
**HOMO level**: -0.330 Eh
**SMILES**: CNC.O
**E_LUMO**: 0.036 Ha

Each line ends with the natural charge from an NBO analysis.
CARTESIAN COORDINATES (ANGSTROEM)
C: -1.1056 0.9383 0.7202  -0.41
N: -0.0988 -0.0956 0.5713  -0.67
C: -0.4071 -1.0785 -0.4606  -0.42
H: -1.5070 1.1595 -0.2586  0.19
H: -1.9945 0.6242 1.2890  0.17
H: -0.5764 1.8026 1.1157  0.21
H: 0.3277 -0.5111 1.3823  0.38
H: -1.1615 -1.7945 -0.0952  0.17
H: 0.4464 -1.6397 -0.8231  0.20
H: -0.9199 -0.5995 -1.2932  0.19
H: 1.7726 0.2737 -0.1638  0.48
H: 2.5669 0.4526 -1.4693  0.46
O: 2.6573 0.4681 -0.5147  -0.97


Version ii
Here is 2 unconnected molecules or ions with the total composition C2H9NO from the Open Molecules 2025 dataset. Energies are from ωB97M-V/def2-TZVPD.

Summary:
**HOMO level**: -0.339 Eh
**SMILES**: CN.CO
**E_LUMO**: 0.030 Ha

Each line ends with the natural charge from an NBO analysis.
CARTESIAN COORDINATES (ANGSTROEM)
C: -1.9761 -0.3420 0.1109  -0.42
C: 1.7370 0.8020 -1.0248  -0.24
H: -0.2585 -0.9000 1.1479  0.36
H: -1.7062 -0.6042 1.9524  0.33
H: -3.0434 -0.7617 0.0184  0.18
H: -2.0008 0.6397 0.4501  0.17
H: -1.4105 -0.7066 -0.7719  0.19
H: 2.8790 -0.3222 0.3392  0.46
H: 1.0607 1.6296 -0.6284  0.20
H: 2.6044 1.2926 -1.3795  0.17
H: 1.4413 0.1219 -1.6703  0.17
N: -1.3369 -1.1460 1.1019  -0.82
O: 2.0101 0.2968 0.3541  -0.75


Version iii
Here is 3 unconnected molecules or ions with the total composition C2H9NO from the Open Molecules 2025 dataset. Energies are from ωB97M-V/def2-TZVPD.

Summary:
**HOMO level**: -0.357 Eh
**SMILES**: [H][H].C1CO1.N
**E_LUMO**: 0.038 Ha

Each line ends with the natural charge from an NBO analysis.
CARTESIAN COORDINATES (ANGSTROEM)
N: -1.1971 1.4203 1.2521  -1.07
H: -1.9954 1.3892 1.8717  0.36
H: -2.3642 0.1005 -5.4381  0.00
H: -1.4826 1.0805 0.3389  0.35
H: -0.5269 0.6970 1.5052  0.36
C: 1.2385 -0.8163 1.6107  -0.18
O: 0.1819 -1.0895 0.6893  -0.46
C: 1.4352 -0.6761 0.1443  -0.13
H: 1.8067 -0.1481 2.2574  0.23
H: 1.5462 -1.8041 1.9592  0.17
H: 1.2380 0.2418 -0.4022  0.19
H: 2.2965 -1.2120 -0.2608  0.18
H: -2.1769 0.8167 -5.5278  0.00


Here are the energies relative to the best structure, in kJ/mol: version i 0.0; version ii 186.7; version iii 341.4.


Version i
Here is 2 unconnected molecules or ions with the total composition C2H9NO from the Open Molecules 2025 dataset. Energies are from ωB97M-V/def2-TZVPD.

Summary:
**HOMO level**: -0.372 Eh
**SMILES**: NCO.C
**E_LUMO**: 0.032 Ha

Each line ends with the natural charge from an NBO analysis.
CARTESIAN COORDINATES (ANGSTROEM)
C: -1.5804 1.5334 -0.1518  -0.86
H: -1.5307 1.5818 0.9388  0.21
H: -0.5457 1.6860 -0.4701  0.23
H: -1.7582 0.4995 -0.4246  0.20
H: -2.2531 2.2835 -0.5436  0.22
N: 0.1587 -1.6249 -0.1114  -0.83
C: 1.4999 -1.1526 0.0606  0.08
O: 1.6680 0.2700 0.2177  -0.72
H: -0.1900 -1.3023 -1.0194  0.35
........

‘Dagger which I see before me’ ‘let me clutch thee’ (Macbeth)

‘Enter Macbeth with bloody daggers’ (Stage direction)

‘Wash this filthy witness from your hand’ (L Macbeth)

[1]
Formula: C5H14N2
Source: OMol25
Level of theory: the ωB97M-V functional and the def2-TZVPD basis

## Properties
- Relative energy (zero: lowest compared OMol25 entry of this formula, charge and spin): 0.8461 eV
- Spin multiplicity: 1
- SMILES: CC[C@@H](N)CNC
- LUMO energy: 1.1 eV
- Gap between HOMO and LUMO: 10.04 eV

Cartesian coordinates (Å):
C (2.55520, -1.14463, 0.54194)
C (1.23583, -0.88955, -0.20859)
C (0.63714, 0.46130, 0.18809)
N (1.39708, 1.56436, -0.46431)
C (-0.80761, 0.53959, -0.29855)
N (-1.73446, -0.36942, 0.37302)
C (-3.07341, -0.24702, -0.23334)
H (2.30044, -1.15594, 1.59870)
H (3.04540, -2.07122, 0.24042)
H (3.28647, -0.38493, 0.26224)
H (1.47524, -0.79364, -1.26868)
H (0.47418, -1.64740, -0.03084)
H (0.66491, 0.62016, 1.27485)
H (0.71948, 2.27545, -0.73503)
H (2.01431, 2.01042, 0.21418)
H (-1.21309, 1.55710, -0.15432)
H (-0.79841, 0.33892, -1.36993)
H (-1.88688, -0.10923, 1.34172)
H (-3.52799, 0.69549, 0.11272)
H (-3.04054, -0.14722, -1.32006)
H (-3.72329, -1.10258, -0.06422)

[2]
Formula: C2H4O2Sm
Source: OMol25
Level of theory: the ωB97M-V functional and the def2-TZVPD basis

## Properties
- Relative energy (zero: lowest compared OMol25 entry of this formula, charge and spin): 0.0000 eV
- Spin multiplicity: 8
- Net charge: +1
- LUMO energy (spin up / spin down): -3.2 / -3.8 eV
- Expectation value of S²: 15.756
- Gap between HOMO and LUMO (spin up / spin down): 5.83 / 9.78 eV

Cartesian coordinates (Å):
O (0.16305, 1.36953, 0.19065)
H (-0.12016, 2.27446, 0.35996)
O (0.82261, -1.04872, -0.17730)
Sm (2.50894, 0.71759, -0.14841)
H (1.03182, -1.97848, -0.31397)
C (-0.53466, -0.79028, -0.12645)
C (-0.87952, 0.49545, -0.00526)
H (-1.21449, -1.57622, -0.44488)
H (-1.77760, 0.53667, 0.66566)

[3]
Formula: C5H8O
Source: OMol25
Level of theory: the ωB97M-V functional and the def2-TZVPD basis

## Properties
- Relative energy (zero: lowest compared OMol25 entry of this formula, charge and spin): 1.6583 eV
- Spin multiplicity: 1
- SMILES: C1C[C@@H]2C[C@@H]2O1
- LUMO energy: 1.1 eV
- Gap between HOMO and LUMO: 10.08 eV

Cartesian coordinates (Å):
C (0.83118, 1.18410, 0.11178)
C (1.13182, -0.22362, -0.47041)
C (-0.07468, -1.01813, -0.00661)
C (-1.39585, -0.43349, -0.44965)
C (-0.84916, -0.11800, 0.90247)
O (-0.12814, 1.04739, 1.15009)
H (0.40861, 1.84105, -0.65774)
H (1.71788, 1.66308, 0.53027)
H (1.24412, -0.16089, -1.56240)
H (2.06626, -0.64802, -0.09109)
H (0.02975, -1.95979, 0.49534)
H (-1.32508, 0.37503, -1.16957)
H (-2.28046, -1.05077, -0.55636)
H (-1.37626, -0.49796, 1.77389)

[4]
Formula: C6H12
Source: OMol25
Level of theory: the ωB97M-V functional and the def2-TZVPD basis

## Properties
- Relative energy (zero: lowest compared OMol25 entry of this formula, charge and spin): 2.4910 eV
- Spin multiplicity: 1
- SMILES: CCCC1CC1
- LUMO energy: 1.3 eV
- Gap between HOMO and LUMO: 11.10 eV

Cartesian coordinates (Å):
C (1.07521, 1.89728, -0.85238)
C (-0.38416, 1.62119, -0.45571)
C (-0.63550, 0.34020, 0.42904)
# The entry goes on

‘Give me the daggers’ (L Macbeth)

Getting her hands dirty. Carrying out the action because she’s so ambitious that she has taken the masculine role and acts powerful and violent.

Paragraph Three

‘know Banquo was your enemy’ (Macbeth)

Intentionally misleading and manipulating the murderers - link to witches - so that they believe they are doing a noble thing. No longer has ambition to kill himself as he doesn’t want to be covered with anymore blood or guilt. Not personal - killing is now his second nature.

‘What’s to be done?’ (L Macbeth)

Wants to be involved - ambitious beyond her gender. Willing to do anything to support her husband and maintain their knew social status.

‘Be innocent of the knowledge’ (Macbeth)

He dies’ (Stage direction)

Paragraph Four

‘Something wicked this way comes’ (Witch)

Macbeth’s ambition has lead him to become something awful and terrible that even the witches see him as something evil and sinful.

‘Call ‘em. Let me see ‘em ‘ (Macbeth)

Ambitious to hear the apparitions: wants to know how he can remain as king.

‘The castle of Macduff I will surprise’ ‘give to th’ edge o’ th’ sword his wife, his babes, and all unfortunate souls’ (Macbeth)

No longer noble. Ambition has caused him to want to kill innocent people who have done nothing wrong and will bring him no political gain.

‘He has killed me mother’ (Son)

‘Your wife and babes savagely slaughtered’ (Ross)

‘Great revenge to cure this deadly grief’ (Malcolm)

Good ambition. Want to turn their grief into something that can be used to encourage them to finally put an end to Macbeth’s terror.

Paragraph Five

‘Out damned spot’ (Lady Macbeth)

Her ambitions are coming back to haunt her

‘The English power is near’ ‘revenges burn in them’

[Next to the text, the page also holds data records]
~~~
No. 1
The following is a DFT calculation (ωB97M-V/def2-TZVPD) of a 3-piece molecular cluster, C51H51NO6P overall at a distorted geometry.

```
! wB97M-V def2-TZVPD RIJCOSX def2/J DEFGRID3
* xyz 1 1
C -0.995 -3.057 2.842
C -2.522 -3.151 2.567
C -3.192 -1.765 2.387
C -2.376 -0.849 1.459
C -3.206 0.353 0.909
C -2.920 0.592 -0.609
C -1.608 1.413 -0.715
N -0.704 1.079 -1.884
C -1.450 1.229 -3.190
C -1.818 -0.012 -4.030
C -3.221 -0.587 -3.754
C -4.282 0.261 -4.040
C -5.594 -0.132 -3.881
C -5.822 -1.426 -3.423
C -4.775 -2.261 -3.128
C -3.454 -1.864 -3.292
C 0.385 2.176 -1.959
C 1.207 2.422 -0.723
C 2.477 1.859 -0.639
C 3.288 2.061 0.452
C 2.872 2.864 1.504
C 1.614 3.445 1.434
C 1.186 4.356 2.584
C 0.809 3.214 0.342
P 0.182 -0.483 -1.574
O -0.845 -1.753 -1.708
O 0.579 -0.499 0.012
H -0.742 -2.147 3.407
H -0.610 -3.891 3.440
H -0.487 -3.007 1.868
H -2.644 -3.784 1.675
H -2.972 -3.704 3.403
H -3.237 -1.340 3.402
H -4.213 -1.960 2.032
H -1.501 -0.483 2.011
H -2.057 -1.460 0.602
H -3.048 1.263 1.504
H -4.259 0.062 1.005
H -2.890 -0.401 -1.064
H -3.776 1.180 -0.964
H -1.105 1.369 0.255
H -1.905 2.464 -0.851
H -2.383 1.770 -2.982
H -0.909 1.905 -3.860
H -1.086 -0.828 -4.053
H -1.883 0.335 -5.072
H -4.084 1.271 -4.409
H -6.395 0.552 -4.147
H -6.855 -1.752 -3.322
H -5.039 -3.260 -2.782
H -2.637 -2.548 -3.084
H 1.028 1.933 -2.811
H -0.185 3.091 -2.174
H 2.808 1.230 -1.469
H 4.267 1.583 0.459
H 3.540 3.015 2.349
H 0.663 5.224 2.159
H 2.110 4.752 3.024
H 0.579 3.839 3.332
H -0.171 3.695 0.281
H -0.510 -2.430 -1.095
H 1.427 -0.954 0.120
C 0.132 -6.352 1.062
C 1.122 -5.667 1.760
C 1.960 -6.349 2.625
C 1.805 -7.718 2.805
C 0.797 -8.400 2.123
C -0.031 -7.714 1.243
C 0.585 -9.859 2.340
O -0.290 -10.450 1.742
C 1.462 -10.568 3.310
C 1.243 -11.915 3.568
C 2.061 -12.590 4.459
C 3.107 -11.924 5.090
C 3.327 -10.579 4.840
C 2.500 -9.894 3.958
C 2.726 -8.443 3.726
O 3.634 -7.856 4.276
H -0.519 -5.818 0.378
H 1.240 -4.599 1.626
H 2.734 -5.818 3.164
H -0.805 -8.246 0.704
H 0.433 -12.436 3.076
H 1.887 -13.639 4.663
H 3.750 -12.455 5.781
H 4.137 -10.061 5.335
C -1.116 10.570 -2.401
C -0.112 11.518 -2.571
C 1.219 11.148 -2.470
C 1.553 9.830 -2.188
C 0.544 8.882 -1.994
C -0.789 9.255 -2.113
C 0.882 7.478 -1.644
O 0.006 6.646 -1.479
C 2.314 7.109 -1.491
C 2.640 5.815 -1.109
C 3.968 5.445 -0.973
C 4.977 6.370 -1.229
C 4.655 7.665 -1.606
C 3.324 8.041 -1.729
C 2.988 9.443 -2.100
O 3.864 10.252 -2.320
H -2.155 10.860 -2.490
H -0.370 12.548 -2.784
H 1.999 11.885 -2.607
H -1.571 8.520 -1.976
H 1.854 5.100 -0.912
H 4.219 4.438 -0.669
H 6.015 6.080 -1.130
H 5.440 8.384 -1.800
*
```

Frontier orbital gap ... 8.4 eV
Highest occupied orbital energy ... -11.13 eV


No. 2
The following is a DFT calculation (ωB97M-V/def2-TZVPD) of C51H52N7O4PRuS as an isolated structure at a distorted geometry.

```
! wB97M-V def2-TZVPD RIJCOSX def2/J DEFGRID3
* xyz 1 6
Ru 16.272 10.735 12.972
C 21.671 5.849 13.856
O 20.955 7.074 14.103
C 21.062 7.601 15.409
C 21.835 6.988 16.419
C 22.067 7.765 17.569
~~~
[Here the text continues]

‘I have lived long enough’ ‘My way of life has fall’n into the sere, yellow leaf’ (Macbeth)

Has nothing left to live for

‘I will not yield’ (Macbeth)

Isn’t going to go down without a fight
